Millions of people in the United States are addicted to some kind of chemical substance or some kind of action that triggers chemicals in the brain’s reward center. Most of those people struggling with chemical dependence or some form of psychological addiction have more than one addiction haunting them every single day. Even more true is that most people who suffer with an addiction have a co-occurring disorder of some kind, usually a mental health disorder that makes it harder to break away from the addiction they suffer from, to begin a sober or addiction free way of life. Something that is really vital to understand is that addiction is a disease that affects the brain’s pleasure center, keeping the person struggling with the addiction coming back for more of what makes them feel safer, or calmer, or like they can keep going.
Not only is addiction a disease, but it is a chronic illness. That means that the addiction will never be cured. The person will deal with the disease for the rest of their lives. Just like asthma, someone may experience a remission of sorts where they do not suffer from the symptoms of the disease, but without consistent maintenance, the symptoms of the person’s addiction will likely creep back into their lives. The remission can and will end without the kind of treatment that is available at rehab and medical detox centers in South Florida.
Without proper treatment, when the person struggling with addiction to the substance or action engages in the activity or consumes the drug or alcohol, the brain releases chemicals like dopamine or endorphins that reinforces the action taken. A person who develops an addiction, is usually, initially, engaging with the activity or substance in an attempt to dampen their stress, anxiety, or other complicated mental health problems. It is also possible that the person is self medicating because they are dealing with or trying to suppress some kind of past trauma. Drug and alcohol addiction are the most common type of addiction but there are many other kinds of addiction.
Some of the most common addictions are as follows:
- Addiction to a drug, multiple drugs, or alcohol addiction
- Addiction to shopping
- Addiction to food
/*
[1]
This record from the OMol25 dataset describes C24H45FGdP2 as an isolated structure at a distorted geometry. The level of theory is ωB97M-V/def2-TZVPD.

Structure (XYZ):
```
73
Properties=species:S:1:pos:R:3:forces:R:3
Gd 0.866230 0.098375 -0.612862 -3.822 5.253 3.758
C 1.388572 0.826180 2.525257 -2.057 0.975 0.850
C 2.277852 1.231188 1.475511 -0.302 2.659 -1.824
C 0.469006 2.675247 1.500461 -0.208 -0.358 0.517
C 0.291252 1.724489 2.541189 0.973 -0.935 -0.077
C 1.702698 2.391748 0.836947 1.787 -2.393 0.555
C 1.620908 -0.291499 3.477630 -0.077 -0.311 0.164
H 2.256808 -1.069138 3.037536 -0.078 0.110 0.121
H 0.672623 -0.761302 3.777809 0.292 0.132 -0.108
H 2.119958 0.057986 4.396796 -0.094 -0.045 -0.269
C -0.868371 1.684703 3.464004 -0.497 0.001 0.246
H -0.705066 0.960859 4.271310 -0.106 0.207 -0.166
H -1.791757 1.402675 2.931294 0.248 0.054 0.164
H -1.039608 2.671119 3.920145 0.014 -0.297 -0.033
C -0.450206 3.787091 1.160701 -0.301 0.050 0.205
H 0.038154 4.761276 1.314702 -0.073 -0.199 -0.087
H -1.343063 3.749235 1.796804 0.211 0.067 -0.226
H -0.776336 3.736401 0.111289 0.155 -0.014 0.210
C 2.294159 3.135735 -0.309426 0.207 0.467 -0.346
H 3.273042 3.571573 -0.043524 -0.323 -0.136 -0.178
H 1.634940 3.959992 -0.623882 0.263 -0.294 0.059
H 2.465291 2.498433 -1.202422 -0.046 0.311 0.264
C 3.597616 0.620162 1.181245 0.467 -0.209 -0.095
H 4.318183 0.849765 1.985825 -0.179 -0.123 -0.247
H 4.021830 0.997863 0.240826 -0.051 -0.058 0.266
H 3.536482 -0.480626 1.112658 0.098 0.292 0.072
C 0.208690 -2.069824 -1.060361 -0.503 -1.466 -0.366
C 1.327978 -2.100454 -0.238622 0.746 -1.620 0.457
C 2.704476 -2.506035 -0.755004 0.181 -0.487 0.151
C 3.441916 -1.497305 -1.694050 0.392 -0.194 0.400
C 2.716015 -0.213237 -2.082124 0.573 -0.842 -3.180
C 1.558077 -0.216244 -2.861791 2.650 -0.707 -1.776
C 1.047810 -1.511209 -3.481598 -0.461 -0.433 -0.061
C 0.232645 -2.445240 -2.523076 -0.292 -0.325 -0.719
H 2.638519 -3.485254 -1.265157 -0.086 0.376 0.118
H 3.739234 -2.036357 -2.610586 -0.131 0.300 0.124
H 3.342965 -2.706015 0.125096 -0.238 0.169 -0.405
H 0.611133 -3.474136 -2.648878 -0.071 0.241 0.133
H -0.798857 -1.924699 -0.637409 0.551 -0.130 0.096
H 1.235474 -2.063270 0.866876 -0.349 -0.132 -0.544
H -0.809576 -2.482054 -2.888314 0.433 0.082 0.256
H 0.418973 -1.263685 -4.357654 0.276 -0.034 0.484
H 1.233030 0.705020 -3.376842 0.166 -0.250 0.693
H 1.899223 -2.086252 -3.893680 -0.181 0.393 0.252
H 4.388599 -1.216770 -1.200387 -0.393 -0.026 -0.258
H 3.356399 0.679889 -2.080131 -0.633 0.026 0.394
P -1.864249 -2.654176 2.544721 -0.593 -0.403 0.310
C -2.713690 -1.826869 3.960844 0.332 0.310 0.052
H -3.582929 -2.426175 4.262443 0.155 0.275 -0.012
H -3.027225 -0.814403 3.676089 0.008 -0.217 0.106
H -2.013983 -1.741232 4.803849 -0.254 -0.021 -0.105
C -3.328791 -2.709771 1.429105 0.151 0.131 -0.176
H -4.216287 -2.998523 2.008671 0.131 0.077 -0.264
H -3.152867 -3.440792 0.630907 -0.109 0.134 0.114
H -3.470629 -1.722528 0.975707 -0.111 -0.169 0.033
*/
### The page goes on
- Addiction to gambling
- Addiction to exercise
Drug and alcohol addiction
Drugs and alcohol are intoxicating substances that people become addicted to by consuming them in various ways depending on the chemical. Some drugs are
- Snorted in powder form
- Injected into the vein or the muscle
- Eaten in food form
- Taken in pill form
- Drunk in some type of liquid form, or mixed with water or alcohol
- Smoked using a pipe, bong, or rolled joint or cigarette
- Used through patches on the skin
- Through suppositories – absorbed by the anal mucous membrane
These intoxicating substances often break down and attach themselves to the reward center in the brain and in turn they give the person suffering from the chemical dependency an incentive to use again. As mentioned above this is by far the most commonly discussed kind of addiction as it can be morbidly devastating, resulting in six hundreds of thousands of deaths world wide last year alone. Treatment for substance abuse and addiction is usually conducted at drug and rehab centers in Florida like at FHE Health recovery houses in Florida. To effectively and sustainably detox from a drug or from alcohol, a person addicted to an intoxicating substance should seek out medically supervised alcohol detox or drug detox as opposed to trying detoxification on one’s own. Self detoxification can lead to any number of medical complications or even in the worst of situations, medical emergency or death. Withdrawal symptoms vary by substance, by the fitness and mental wellbeing of the person suffering with the drug or alcohol addiction, and by many other variables. Understanding those variables is one of many of the important reasons to allow a medical staff to supervise a person’s mental and physical wellbeing. If detoxification does not succeed, there is no hope for someone addicted to drugs and alcohol.
The next step in recovery for the person struggling with this kind of addiction is rehabilitation. In drug or alcohol addiction rehabilitation treatment the patient at a FHE Health facility will have a treatment created for them that is fully customized to fit their specific needs. FHE will take into account the way of life the patient needs, their fitness, any trauma they may be dealing with, any dual diagnosis or co-occurring mental health disorders that may make it a more complicated and difficult process for the patient than it might be otherwise.
Shopping Addiction
Consumerism is rampant in this day and age. But a shopping addiction is less about consumerism and materialism and more about a psychological imperative. A person struggling with an addiction to shopping or buying,may sometimes pass it off as “retail therapy” but it is far from therapy. Addiction to shopping is not therapeutic, quite the opposite, in fact, compulsive shopping is a real addiction with real world consequences that can affect the individual with the disease as well as their family and friends. .If someone is addicted to shopping they find some amount of catharsis and stress relief in the action, though in the end it can be an addition to their stress via the guilt or shame they feel in retrospect.
Just like with a drug or alcohol addiction, shopping addiction is often something done in secret. The reason that shopping addiction disorder develops is, again like drug and alcohol addiction, often a way to quell the pain that lies within the person suffering. In this way, the idea of “retail therapy” makes a bit more sense. Just like someone suffering with drug or alcohol addiction may be said to be self medicating. But the fact is that the only kind of therapy that can help the person struggling with this tragic addiction is in a room with one or more people. Group therapy with others addicted to shopping, and individual therapy with a behavioral therapist or other type of therapist are the solutions to dealing with this kind of addiction. Untreated, this addiction is one that can create rifts in family relationships.It can engender distrust and create trauma including between spouses as well as between children and parents.
Food Addiction
Food addiction is in a fine line between addiction and eating disorder. It is confused by society as being a choice that those addicted to food, or suffering from an eating disorder called binge eating disorder make. Eating to excess is a psychological side effect to addiction or an eating disorder, not a choice that a person makes, and not a personal failing. Our society forgets sometimes that if someone is addicted to food, or suffering from a mental disorder, that addiction is indeed a disease like any other disease.
The people suffering from these diseases and disorders do not want to suffer. They usually feel compelled, or dependent on the actions or substances that drive their choices and moves in life. If someone is addicted to food they find catharsis or comfort in the consumption of food and often consume it in binges. Usually people who have a food addiction are overweight but some people who are addicted to food are within a healthy appearing weight in spite of the disorder. This kind of addiction is very often the result of trauma and should be treated through mental health rehab with a therapist. There are twelve step programs like Overeaters Anonymous that provide a group setting for someone to go and deal safely with their addiction.
Gambling Addiction
While much of the mechanics of addiction to drugs, alcohol, or any kind of substance occur largely behind the scenes, in the interactions of biology and chemistry within a person’s body, gambling addiction is a behavior that is acted out externally. Because of this there are more quantifiable facts to note than someone might be able to see with most other addiction disorders.
The fact that casinos and lotteries even exist proves that there is profit to be made by offering people an easy way to gamble. For some people suffering from gambling addiction, it’s the thrill of “beating the house” that draws them in more than the idea of making a ton of money. Other gamblers dream of one single, life-changing jackpot. On a long enough timeline, the fact that businesses like these gain such enormous profits shows that if a person continues to play they will eventually lose everything, rather than ever coming out ahead..
Many gamblers think that they have some special knowledge of the way the system works that allows them to get a higher dollar outcome, or have a superior strategy. But the truth of the matter is that casinos and lotteries have to follow and adhere to a strict law regarding the probability and payouts of devices used for gambling. If someone could predict the outcomes of a gambling game it would bankrupt the owners of the gambling device, and they would also find themselves in trouble with the law.
Addiction lends itself to irrational behavior. Despite the persistent harm it causes on lives, someone suffering from gambling addiction will still go for their big win just like someone with an addiction to drugs and alcohol wants a drink even though they know it is killing them. Sometimes the anticipation of a win is just as addictive as the win itself.
Exercise Addiction
Many people are surprised that exercise addiction is in this list since exercise is usually considered one of the most healthful things a person can do, but like so many other things, it can be taken to unhealthy extremes. Everybody, from professional athletes on down, has limits and regularly pushing past those limits is exceedingly dangerous.
Substance addictions hijack the body’s reward system, convincing it that it is doing things that are really good for it. If you consider that strengthening your body is one of the things that the reward system is actually supposed to reward, it’s not surprising at all that some people get caught in that positive feedback loop and become dependent on it. Runner’s high is a very real and literal thing – the same flood of dopamine and endorphins that is triggered by other addictions such as an addiction to amphetamines is released when you push your body to the limit. In the case of exercise addiction, the chemical reward comes at the cost of stress and danger to your physical body.
After Inpatient Addiction Treatment
Rehab is an inflection point in your life. You came because you knew you needed changes in your life, and that process starts in rehab but it does not end there. It will be necessary to reexamine your whole routine and consider how interrelated each aspect was with your problem, and how you can modify it to come into alignment with your new vision of yourself. This is a road that has been walked many times, and there are a lot of time honored tips and methods to help you rebuild your life. Practicing intentionality about the struggles you are likely to face and the strategies you have to overcome them can help you affirm your choices and make each subsequent trigger a little easier to deal with. Here are a few things to keep in mind as you reenter life after addiction treatment.
Accentuate The Positive
It is vital that you remain alert and receptive to the things that help you to feel hopeful or positive. Practice recognizing moments of joy and memorializing them – writing them down or taking note of all of the circumstances to create a holistic memory. These are your tools and materials to build a life of positivity and the weapons and armor you have to combat triggering thoughts or events. Know where your positivity comes from, and set yourself up to take advantage of it – build it into your schedule as an inflexible obligation. You are doing this work in order to live your best life. You owe it to yourself to wrap yourself in the things that bring you joy.
Eliminate The Negative
Rehab gives you a distance and perspective rarely possible in your day-to-day life. It is possible you noticed some self-destructive or counterproductive behaviors in your life, and it’s possible you’ll become aware of even more as you reenter your life outside of rehab. Make a note of these things. Be as specific as you can. Remembering them and recognizing them when they occur is one of the best skill sets you can come out of rehab with. Once you’re conscious of the areas in your life that lead you into negative mental or emotional spaces, it will be much easier to recognize and avoid them. Premeditation also provides you with an opportunity to make a plan when you find yourself in a negative place. Know yourself well enough to know when you need help, and never be ashamed to reach out.
Don’t Let Yourself Get Bored
There’s a good reason behind the adage “Idle hands are the devil’s workshop”. Allowing yourself to get bored is a gateway to many dangerous places – loneliness, depression, anxiety, or restlessness – and all of these can end up dredging up old cravings or triggers. Try to build a schedule for your day so that you can always have an immediate responsibility, and keep a list of long term goals on hand as well – the kind of things you can ship away at little by little. You only get one life – fill the hours with things you care about and want to see come to fruition.
Let Yourself Rest
There’s a happy place between too busy and too bored. You don’t want to become sedentary but getting too busy and never stopping to rest can be equally as damaging to a person who is striving to maintain a new way of living. Embrace the in between. If someone is trying to recover from drug or alcohol addiction and they have just come home from an addiction recovery treatment center, it is important that they fill their lives and their time with the people and activities that make them feel safe, loved, supportive.
If an activity or person makes them feel anything less than confident mentally, physically, and emotionally cared for then it’s an activity that the person trying to maintain their sobriety should rethink. The quality of people and types of ways you spend your time will have a great impact on your success moving forward. But you also must allow yourself time to reflect, and care for your own emotional needs. If you are an introvert, allow yourself the time you need to rest and recoup your energy from the time you spend with people around you.
Regardless of if you are an extrovert or introvert be sure to get enough sleep. If someone isn’t resting enough they eventually begin to suffer from depressed cognitive functions. Create a dedicated bedtime and waking time in your schedule. Though this feels like such an elementary school child’s schedule, there is a reason we force this type of organized time blocking on a child. It makes the body well rested. A biological system wants to work on a clock, giving it the consistency it needs will make your body function better and will help you be in your right mind when temptations, triggers and cravings come knocking.
To get started down the path of ending an addiction with the help from a professional, contact us today – we’re ready to help as soon as you’re ready to quit.